Wanted >
Next, print only the lines underneath with the word "TbMg" in them.

File >
{
  "formula": "SrMg",
  "functional": "r2SCAN",
  "state": "relaxed",
  "cell": [[5.720, 0.000, 0.000], [0.000, 5.933, 0.000], [0.000, 0.000, 4.241]],
  "species": ["Sr", "Sr", "Mg", "Mg"],
  "frac_coords": [[0.250, 0.250, 0.002], [0.750, 0.750, 0.998], [0.250, 0.750, 0.499], [0.750, 0.250, 0.501]],
  "spacegroup": "Pmmn"
}

{
  "formula": "TbMg3",
  "functional": "r2SCAN",
  "state": "relaxed",
  "cell": [[6.677, 0.000, 0.000], [-3.338, 5.782, 0.000], [0.000, 0.000, 5.168]],
  "species": ["Tb", "Tb", "Mg", "Mg", "Mg", "Mg", "Mg", "Mg"],
  "frac_coords": [[0.333, 0.667, 0.250], [0.667, 0.333, 0.750], [0.163, 0.326, 0.750], [0.163, 0.837, 0.750], [0.326, 0.163, 0.250], [0.674, 0.837, 0.750], [0.837, 0.163, 0.250], [0.837, 0.674, 0.250]],
  "spacegroup": "P6_3/mmc"
}

{
  "formula": "TbMg2",
  "functional": "r2SCAN",
  "state": "relaxed",
  "cell": [[6.051, 0.000, 0.000], [-3.025, 5.240, 0.000], [0.000, 0.000, 9.797]],
  "species": ["Tb", "Tb", "Tb", "Tb", "Mg", "Mg", "Mg", "Mg", "Mg", "Mg", "Mg", "Mg"],
  "frac_coords": [[0.333, 0.667, 0.065], [0.333, 0.667, 0.435], [0.667, 0.333, 0.565], [0.667, 0.333, 0.935], [0.000, 0.000, 0.000], [0.000, 0.000, 0.500], [0.171, 0.342, 0.750], [0.171, 0.829, 0.750], [0.342, 0.171, 0.250], [0.658, 0.829, 0.750], [0.829, 0.171, 0.250], [0.829, 0.658, 0.250]],
  "spacegroup": "P6_3/mmc"
}

{
  "formula": "TbMg3",
  "functional": "r2SCAN",
  "state": "relaxed",
  "cell": [[0.000, 3.645, 3.645], [3.645, 0.000, 3.645], [3.645, 3.645, 0.000]],
  "species": ["Tb", "Mg", "Mg", "Mg"],
  "frac_coords": [[0.000, 0.000, 0.000], [0.250, 0.250, 0.250], [0.500, 0.500, 0.500], [0.750, 0.750, 0.750]],
  "spacegroup": "Fm-3m"
}

{
  "formula": "TbMg",
  "functional": "r2SCAN",
  "state": "relaxed",
  "cell": [[3.799, 0.000, 0.000], [0.000, 3.799, 0.000], [0.000, 0.000, 3.799]],
  "species": ["Tb", "Mg"],
  "frac_coords": [[0.000, 0.000, 0.000], [0.500, 0.500, 0.500]],
  "spacegroup": "Pm-3m"
}

{
  "formula": "TbMgZn2",
  "functional": "r2SCAN",
  "state": "relaxed",
  "cell": [[0.000, 3.394, 3.394], [3.394, 0.000, 3.394], [3.394, 3.394, 0.000]],
  "species": ["Tb", "Mg", "Zn", "Zn"],
  "frac_coords": [[0.000, 0.000, 0.000], [0.500, 0.500, 0.500], [0.250, 0.250, 0.250], [0.750, 0.750, 0.750]],
  "spacegroup": "Fm-3m"
}

{
  "formula": "MgTe2",
  "functional": "r2SCAN",
  "state": "relaxed",
  "cell": [[7.087, 0.000, 0.000], [0.000, 7.087, 0.000], [0.000, 0.000, 7.087]],
  "species": ["Mg", "Mg", "Mg", "Mg", "Te", "Te", "Te", "Te", "Te", "Te", "Te", "Te"],
  "frac_coords": [[0.000, 0.000, 0.000], [0.000, 0.500, 0.500], [0.500, 0.000, 0.500], [0.500, 0.500, 0.000], [0.113, 0.613, 0.887], [0.113, 0.887, 0.387], [0.387, 0.113, 0.887], [0.387, 0.387, 0.387], [0.613, 0.613, 0.613], [0.613, 0.887, 0.113], [0.887, 0.113, 0.613], [0.887, 0.387, 0.113]],
  "spacegroup": "Pa-3"
}

{
  "formula": "ThMg3",
  "functional": "r2SCAN",
  "state": "relaxed",
  "cell": [[6.763, 0.000, 0.000], [-3.381, 5.857, 0.000], [0.000, 0.000, 5.214]],
  "species": ["Th", "Th", "Mg", "Mg", "Mg", "Mg", "Mg", "Mg"],
  "frac_coords": [[0.333, 0.667, 0.250], [0.667, 0.333, 0.750], [0.161, 0.322, 0.750], [0.161, 0.839, 0.750], [0.322, 0.161, 0.250], [0.678, 0.839, 0.750], [0.839, 0.161, 0.250], [0.839, 0.678, 0.250]],
  "spacegroup": "P6_3/mmc"
}

Done >
  "formula": "TbMg",